There's too much context going around.

Martin Fowler has recently posted a note on Flaccid Scrum. Related posts such as Jim Shore’s The Decline and Fall of Agile have made similar points. Lots of discussion has ensued. The fundamental observation can be put this way:

There are a lot of Scrum teams out there who are not performing well.

Jeff Sutherland, co-inventor of Scrum, says he has never seen a Scrum team become hyper-productive without adopting the XP practices. Less elegantly, I have said that teaching Scrum teams how to get Done-Done is why I have such a lovely blue convertible.

In our justly famous “Nature of Software Development” talk and course, Chet Hendrickson and I show rather clearly why Agile is good for business. We also show how Agile demands that you solve certain problems that can only be solved in the XP way. The stories on my site about Kate Oneal make a similar point, from the viewpoint of someone who puts our advice into practice.

A recent thread on the XP list has described a team who are not using good technical practices, and who are falling further and further behind in “technical debt”. (“Technical Debt” is a polite phrase describing the situation of a team who are writing crappy code on a regular basis.)

Through Deep Snow, Uphill, Both Ways

From the beginning of XP and the other forms of Agile, we have been plagued with people reporting that they tried Agile and it didn’t work. It used to be my practice to ask them about a dozen questions, like

  1. Was your Whole Team together in one place?
  2. Tell us about your On Site Customer.
  3. Describe your Release Planning process.
  4. Tell us about your automated customer acceptance tests.

… and so on.

Unrelated to this entry: molecular data
Here is a 11-piece molecular cluster, C32H91N5O11 overall in a non-equilibrium geometry from OMol25. Energies are from ωB97M-V with the def2-TZVPD basis set.

Each line ends with the Mulliken charge.
Geometry (Å):
C  25.7711  -3.0339  3.9598  -1.05
C  25.8456  -1.8151  3.0219  0.36
O  26.3782  -2.3103  1.7955  -0.59
H  25.5729  -2.5331  4.9075  0.23
H  26.6194  -3.7180  3.9815  0.26
H  24.9094  -3.6625  3.7354  0.35
H  26.5529  -1.1008  3.4432  -0.40
H  24.9381  -1.2397  2.8385  0.45
H  27.3218  -2.3843  1.9560  0.42
C  24.7842  5.7145  -2.4157  -1.10
C  26.1641  5.2075  -2.1009  -0.39
O  26.1390  3.9139  -1.7277  -0.34
H  24.2163  5.6528  -1.4874  0.20
H  24.1806  5.1008  -3.0844  0.23
H  24.7948  6.7408  -2.7829  0.44
H  26.4972  5.8205  -1.2634  0.38
H  26.8892  5.1722  -2.9140  0.33
H  25.8459  3.4430  -2.5112  0.04
C  32.4433  4.5135  -0.7145  -1.28
C  31.1248  3.9475  -0.1753  0.41
O  30.1339  4.5762  -0.9369  -0.59
H  33.3545  4.0614  -0.3227  0.37
H  32.5316  5.5776  -0.4953  0.33
H  32.4491  4.4664  -1.8035  0.21
H  30.8039  4.2834  0.8108  0.27
H  31.0468  2.8614  -0.2237  -0.14
H  29.2551  4.2447  -0.7383  0.46
C  25.8564  0.8545  6.5106  -1.24
C  26.9713  -0.1280  6.6993  0.01
O  27.8507  0.3010  7.5637  -0.54
H  26.2199  1.8758  6.6238  0.32
H  25.0831  0.5944  7.2335  0.47
H  25.3270  0.7814  5.5606  0.26
H  27.5432  -0.5455  5.8706  0.05
H  26.5154  -1.0660  7.0161  0.36
H  27.4220  0.2872  8.4225  0.33
C  25.3372  7.1036  5.0393  -0.62
C  23.9514  7.2423  5.7466  -0.17
O  23.8053  8.5290  6.3646  -0.55
H  25.3621  7.9174  4.3146  0.32
H  25.3775  6.2103  4.4161  -0.04
H  26.1991  7.1520  5.7048  0.37
H  23.7953  6.4385  6.4661  0.25
H  23.2730  7.1727  4.8963  0.15
H  24.4860  8.8326  6.9697  0.31
C  25.9627  0.3611  -3.2710  -0.43
C  25.2530  1.3669  -4.2169  -0.51
O  25.8513  2.6431  -4.1116  -0.55
H  25.3679  -0.5498  -3.2027  0.43
H  26.0219  0.8173  -2.2828  -0.16
H  26.9456  0.1450  -3.6898  0.10
H  24.2420  1.6190  -3.8968  0.29
H  25.2791  0.9365  -5.2180  0.50
H  26.0704  2.8415  -5.0250  0.26
C  34.7473  4.9732  8.5917  -1.31
C  33.6066  6.0083  8.5949  0.38
C  32.1888  5.5010  8.2237  -0.70
O  32.1265  4.9346  6.8758  -0.37
C  30.8890  4.7883  6.2276  -0.75
N  33.6962  6.7849  9.7622  -0.65
H  34.6321  4.2434  7.7903  0.31
H  34.6517  4.4506  9.5434  0.31
H  35.7921  5.2799  8.5427  0.32
H  33.7635  6.6396  7.7203  0.25
H  31.5351  6.3702  8.1511  0.34
H  31.7504  4.8471  8.9776  0.34
H  30.1578  4.4187  6.9466  0.34
H  30.9769  4.0278  5.4517  0.25
H  30.5897  5.7796  5.8874  0.34
H  33.2493  7.6469  9.4843  0.33
H  33.0827  6.4108  10.4720  0.27
C  28.9905  1.7885  -6.1886  -1.49
C  29.6816  2.7663  -5.2849  1.41
C  31.0394  2.2620  -4.7764  -0.50
O  30.8775  0.9418  -4.1755  -0.45
C  30.0192  0.8117  -3.0396  -0.21
N  29.8482  3.9727  -6.0365  -0.78
H  29.4227  1.8084  -7.1890  0.38
H  27.9955  2.2218  -6.2908  0.25
H  28.8407  0.7625  -5.8528  0.27
H  28.9387  2.9786  -4.5161  -0.26

This approach was unpopular. People said that I was trying to find some aspect of XP that they didn’t do and then blame the failure on that. Well, not exactly, but on the other hand, hell yes.

If you don’t do what we suggest, then don’t call what you do by the name of what we suggest. Don’t call it XP if you don’t do the XP practices. Don’t call it Scrum if you don’t Inspect and Adapt, and while you’re at it, how about heeding the Jeff Sutherland hint up above?

XP and Scrum and Agile are not guaranteed to succeed, and they aren’t the only way to succeed. The only way to succeed – other perhaps than catching a really lucky break – is to build a team who work well together and who get things done. XP and Scrum are the best ways we know to work well together. They are not necessary – there might be other ways – and they are surely not sufficient – there are a million things we must do to be successful, and they’re not all written down in books.

You have to do right things, and you have to do things right, in order to succeed.

What right things, you irritable curmudgeon?

Let’s take a simple example from the “Nature” talk. We begin that talk by showing why the business people need to see real software getting done, on a regular basis. We’ll skip that derivation for now.

Given that you’re going to ship software from the beginning to the end of the project, it is clear that you need to

  • start with a simple design, because at the beginning, you won't have enough of a design to support all the software;
  • have a more and more robust design as the project goes on, because you can't make progress with insufficient design;
  • wind up with a fully robust design, capable of supporting the whole project and its future needs.

There is no choice. You must evolve your design. You must improve the design of existing code.

Guess what!?!? That’s the subtitle of Martin Fowler’s book, Refactoring.

In order to do Scrum or XP or any form of Agile successfully, you must refactor. Sorry, not optional. Necessary.

There are many more practices, generally outlined in XP and elsewhere, that are just as essential as this one. There really is no choice. If you want to succeed, you’ve just gotta do them.

Situational Ethics

As XP / Agile / Scrum have become more popular, many teams and individuals have wanted to do them, or “be” them. This has led to a school of Agile methods that wants to be called “context dependent”. The idea is that whatever brand of Agile is under discussion is “too rigid” and “doesn’t fit our context”. So we have to modify Agile because God knows we can’t modify our context.

Well, my dear little children, I’ve got bad news for you. It is your precious context that is holding you back. It is your C-level Executives and high-level managers who can’t delegate real responsibility and authority to their people. It is your product people who are too busy to explain what really needs to be done. It is your facilities people who can’t make a workspace fit to work in. It is your programmers who won’t learn the techniques necessary to succeed. It is your managers and product owners who keep increasing pressure until any focus on quality is driven out of the project.

There is an absolute minimum of practice that must be in place in order for Scrum or XP or any form of Agile to succeed. There are many other elements of practice that will need to be put in place. And yes, the context will matter … and most commonly, if you really want to be successful, it is the context that has to change.

Want to succeed at software? Then it can’t be business as usual. Study the material, do the practices, get help. Or get out of the way.